How to Run Ubuntu on Windows in 5 simple steps?
Last Updated — May 2021
Run Ubuntu on Windows in 5 simple steps.
Step 1 — Download all the required files
Download the Latest version of VirtualBox and install it on Windows.
Then, download the Ubuntu OS LTS Version(.iso file/system image) and keep it on the desktop or remember the location of the .iso file where it is downloaded.
Step 2 — Setting Up the Ubuntu OS in VirtualBox
After Installation of VirtualBox, launch it. You’ll see a number of Icons on the top eg. Preference, Import, New, Add, etc.
Now, select on New ✹ and you’ll see a popup saying to give name, type and version of the Virtual Machine.
Enter the name of the Virtual Machine as Ubuntu as you are installing Ubuntu OS. Then, chose the folder where you want to install Ubuntu (Make sure you have atleast 50 gb of space on that drive where you are installing).
Select the type to Linux and version to Ubuntu (64-bit), then click on Next.
Now you’ll have to give RAM size to run Ubuntu (this is the ram size which will be used to run Ubuntu on it). If you have 8 GB RAM, put the memory size atleast 2048 MB (ie. 2GB) and if you have 16 GB RAM, put the memory size
4096 MB(ie. 4GB) in order to run Ubuntu seamlessly.
NOTE — The RAM will only be allocated when you run Ubuntu.
Now, you’ll see a Hard disk option where the default size of hard disk is set to 10 GB. Don’t change anything, simply click on Create Button.
Then, you’ll see another popup saying to chose hard disk file type. Here you have to choose VDI (VirtualBox Disk Image) and click on Next Button and then choose the storage of the hard disk to Dynamically allocated and click on Next.
Here,you have to select the hard disk size you want. Eg. 50 GB.(This will be the Hard disk memory size inside the Ubuntu). Don’t change the hard disk location as it’ll lead to unstability while running the OS, just click on Create Button.
And you’re done setting up the environment ie. Setting up the Hard Disk size, Ram Memory Size, etc.
Step 3— Installing Ubuntu
Before Starting the Machine, you have to configure something else also.
On the VirtualBox homescreen, click on Setting ⚙️, then navigate to Storage → Controller: IDE — Empty → Under Attributes choose disk file.
The Disk file here is the Ubuntu .iso file you’ve downloaded. Select the disk file and click on OK.
Now Start the Machine ➡️.
While starting the machine, you’ll see a prompt asking to select a Start-up disk. If you see the default .iso file(that you’ve downloded) is selected then just press Start OR select your .iso file of Ubuntu and press Start.
Now, you’ll see a start-up screen saying to chose between Try Ubuntu and Install Ubuntu. So, you can directly enter to Ubuntu OS by clicking Try Ubuntu but as we need a readymade Ubuntu OS to be in our computer, we will select Install Ubuntu.
After this, select the Language of Installation. If you want change the language of your choice select it else the default language will be selected to English US then simply click on Next.
Now, you will have to chose whether you want to install the full Version of Ubuntu (ie. with Browser, office, games, media players, etc.) OR the minimal Version of Ubuntu (ie. with simple Utilities).
For Now, Minimal installation will be much better and faster. So click on Continue.
NOTE: You can install other apps afterwards like Office, games, Media players, etc.
You’ll now get two options to install : Erase disk and Install Ubuntu and Something Else. Just select Erase disk and Install Ubuntu and click on Install Now. Then, you’ll get a prompt regarding partition. Simply click on Continue.
By doing this, you’re not erasing your whole computer/your Windows’ Hard Disk. Instead you’re just erasing the portion hard disk that you allocated for this in STEP 2 . ie. 30 GB
After this, give the location where you live. Then set your name, username, password, etc for the OS as you do it in Windows and click on Continue.
And now, you’re Done !!.
— You can now Operate Ubuntu alongside Windows simultaneously
Step 4 — Fixing Screen Maximizing Problem
If you are facing Screen Scaling Problem (ie. the Ubuntu Screen is not maximizing to the desired size) then do the following steps.
Open the Terminal in Ubuntu. (Windows Key → Search “Terminal” → Open Terminal) And write this command -
sudo apt install build-essential dkms linux-headers-$(uname -r)
Enter the password that you’ve set for this Ubuntu OS and press Enter.
NOTE: The password will be invisible so simply type the password and press Enter.
Then some utilities will be downloaded. (During downloading type ‘y’ if prompted). After the downloading completes close the terminal.
Now, Click on Devices →Insert Guest Addition CD Image → Run
Here, a setup will begin. After the setup is completed, a completion message will be displayed as “Press Return to close this window…”
Now press the Enter Key and just close the Ubuntu OS by pressing Power Off.
Now from VirtualBox homescreen Start Ubuntu again and the problem is fixed.
NOTE: You Can directly open Ubuntu searching “Ubuntu” in the Start Screen
Step 5 — Some important settings to Configure
If you are working on Ubuntu alongside Windows, following are some settings that you should configure:
★ Save the machine state instead of Power Off:
You can directly close the Ubuntu by clicking the Cross Button ❌ of the VirtualBox’s app window. Here you’ll be prompted three options. Now you must select ‘Save the machine state’ instead of ‘Power Off the machine’ because next time you start Ubuntu, it may take a lot of time to boot up and to load the OS completely.
This is very similar to Windows’ Sleep mode which saves the state of the machine as it is.
★ Enable copy-pasting between Windows and Ubuntu:
Once you closed the Virtual OS/Ubuntu, you should be on Start Screen of VirtualBox. Navigate to
Settings ⚙️ → ️General → Advanced
Crystal structures that have nothing to do with the page.
........
Record 1
# Li4Ti3V2Cr3O16 (PBE+U, optimized geometry)
data_Li4Ti3V2Cr3O16
_cell_length_a 10.2288
_cell_length_b 5.9332
_cell_length_c 9.5552
_cell_angle_alpha 90.00
_cell_angle_beta 90.88
_cell_angle_gamma 90.00
_symmetry_space_group_name_H-M 'C 1 m 1'
_symmetry_Int_Tables_number 8
_symmetry_space_group_name_Hall 'C -2y'
loop_
_atom_site_label
_atom_site_fract_x
_atom_site_fract_y
_atom_site_fract_z
Li1 0.0000 0.0000 0.0000
Li2 0.0017 0.0000 0.5048
Li3 0.1636 0.5000 0.1000
Li4 0.3316 0.0000 0.6066
Ti1 0.3246 0.5000 0.7788
Ti2 0.4125 0.2491 0.2834
V1 0.1602 0.5000 0.5116
V2 0.3264 0.0000 0.0048
Cr1 0.0801 0.2584 0.7848
Cr2 0.1685 0.0000 0.2855
O1 0.0143 0.5000 0.6609
O2 0.0769 0.2472 0.3968
O3 0.1704 0.5000 0.8944
O4 0.1714 0.0000 0.9041
O5 0.2395 0.2812 0.6578
O6 0.2603 0.2208 0.1571
O7 0.3357 0.5000 0.3905
O8 0.3386 0.0000 0.3944
O9 0.4136 0.2498 0.9017
O10 0.4756 0.0000 0.1576
O11 0.4943 0.5000 0.6909
O12 0.4966 0.5000 0.1862
# Volume: 10.35 Å³ per atom
# Spin magnetization: 24.00 μB/cell
# Electronic total energy: -429.40 eV per cell

Record 2
# Li4Ti2V3Cr4O18 (PBE+U, optimized geometry)
data_Li4Ti2V3Cr4O18
_cell_length_a 8.9626
_cell_length_b 24.9849
_cell_length_c 2.9769
_cell_angle_alpha 90.00
_cell_angle_beta 90.00
_cell_angle_gamma 90.00
_symmetry_space_group_name_H-M 'P b a m'
_symmetry_Int_Tables_number 55
_symmetry_space_group_name_Hall '-P 2 2ab'
loop_
_atom_site_label
_atom_site_fract_x
_atom_site_fract_y
_atom_site_fract_z
Li1 0.1878 0.0062 0.0000
Li2 0.2080 0.8100 0.0000
Ti1 0.0068 0.1026 0.0000
V1 0.0000 0.5000 0.0000
V2 0.1454 0.1974 0.5000
Cr1 0.0191 0.6894 0.0000
Cr2 0.1484 0.4137 0.5000
O1 0.0005 0.4242 0.0000
O2 0.0458 0.8402 0.5000
O3 0.0608 0.0582 0.5000
O4 0.0908 0.2438 0.0000
O5 0.1133 0.3354 0.5000
O6 0.1504 0.4953 0.5000
O7 0.1525 0.7152 0.5000
O8 0.1877 0.1463 0.0000
O9 0.2019 0.9143 0.0000
# Volume: 10.75 Å³ per atom
# Spin magnetization: 30.00 μB/cell
# Electronic total energy: -465.20 eV per cell


1 | The following is a DFT calculation (PBE+U) of a relaxed structure of Li9Mn2Co5O16.

a = 5.194 Å, b = 5.922 Å, c = 10.293 Å
α = 104.65°, β = 95.18°, γ = 109.11°
Space group P1 (No. 1)
Symmetry-distinct sites (fractional):
Li: 0.000 0.000 0.000
Li: 0.000 0.254 0.493
Li: 0.002 0.509 0.000
Li: 0.003 0.125 0.740
Li: 0.005 0.368 0.248
Li: 0.007 0.619 0.744
Li: 0.007 0.886 0.248
Li: 0.501 0.313 0.369
Li: 0.997 0.745 0.491
Mn: 0.504 0.817 0.369
Mn: 0.505 0.061 0.871
Co: 0.496 0.950 0.124
Co: 0.500 0.436 0.122
Co: 0.500 0.560 0.870
Co: 0.502 0.670 0.612
Co: 0.507 0.186 0.620
O: 0.264 0.556 0.438
O: 0.267 0.687 0.189
O: 0.270 0.419 0.695
O: 0.270 0.801 0.938
O: 0.271 0.176 0.178
O: 0.283 0.921 0.689
O: 0.292 0.027 0.440
O: 0.292 0.276 0.931
O: 0.714 0.608 0.302
O: 0.716 0.693 0.049
O: 0.716 0.846 0.811
O: 0.730 0.465 0.570
O: 0.733 0.074 0.299
O: 0.735 0.323 0.805
O: 0.736 0.199 0.052
O: 0.744 0.953 0.546



2 | The following is a DFT calculation (PBE+U) of a relaxed structure of Li9Mn2Co5O16.
........
The page goes on.
Now in the drop down section of Shared Clipboard, select Bidirectional. Similarly for Drag’n’Drop, select Bidirectional and click OK.
★ Create a shortcut of Ubuntu on Desktop:
Right click on the Ubuntu Row, and click on Create Shortcut on Desktop.
Now, you can start Ubuntu directly from Desktop.
You can now safely delete the Ubuntu OS image file (.iso file) and the VirtualBox Setup file which you have downloaded in Step 1.